Testes removal

Having a clear understanding of the testes removal options available will help you make an informed choice.
Surgery to remove testes is called an orchiectomy. Orchiectomy removes the gonads (testes) and spermatic cord. It can be done with or without scrotectomy (removal of scrotal sac).
This surgery may allow you to lower your dose of estrogen and eliminate the need for testosterone blockers (which may reduce unwanted side effects and risks). It may be a required step prior to some genital reconstruction surgeries.
This surgery is done by a urologist.
Some people who have surgery to remove their testes go on to have vagina and vulva construction surgery in the future. In other cases, removal of testes may be done at the same time as vagina and vulva construction. Some people may not have interest in future vagina and vulva construction and choose to only remove their testes.
People may also choose to keep their external genital (scrotal) skin, while others may choose to have it removed (scrotectomy). If you’re considering having vagina construction in the future, retaining your scrotal skin can be helpful but it is not necessary. You can speak with your urologist
About the surgery
The steps involved in testes removal include:
- Making an incision in the middle of the scrotum.
_Between two parts of the entry: records of crystals_
~~~
The following is a simulated powder XRD pattern of Nd4Zn3Sn. It was derived from the PBE geometry in Alexandria, using Cu Kα.
Peak positions follow from Bragg's law for the DFT cell and can differ from measured ones.

The 6 most intense peaks (10° ≤ 2θ ≤ 90°), in order of rising 2θ:
33.69°, 2.660 Å, rel. 100, (0 1 8); 34.02°, 2.635 Å, rel. 100, (1 1 0); 48.64°, 1.872 Å, rel. 35, (2 0 8); 60.04°, 1.541 Å, rel. 17, (1 0 16); 60.68°, 1.526 Å, rel. 36, (1 2 8); 60.89°, 1.521 Å, rel. 18, (3 0 0)

Structure:
```
data_Nd4Zn3Sn
_chemical_formula_sum 'Nd12 Zn9 Sn3'
_cell_length_a 5.2700
_cell_length_b 5.2700
_cell_length_c 26.1912
_cell_angle_alpha 90.00
_cell_angle_beta 90.00
_cell_angle_gamma 120.00
_symmetry_space_group_name_H-M 'R -3 m'
_symmetry_Int_Tables_number 166
_symmetry_space_group_name_Hall '-R 3 2"'
loop_
_atom_site_label
_atom_site_type_symbol
_atom_site_fract_x
_atom_site_fract_y
_atom_site_fract_z
Nd1 Nd 0.0000 0.0000 0.1214
Nd2 Nd 0.0000 0.0000 0.3710
Zn1 Zn 0.0000 0.0000 0.0000
Zn2 Zn 0.0000 0.0000 0.2529
Sn1 Sn 0.0000 0.0000 0.5000
```



The following is a simulated powder XRD pattern of ScSi3Ir5. It was derived from the PBE geometry in Alexandria, using Cu Kα.
Peak positions follow from Bragg's law for the DFT cell and can differ from measured ones.

The 6 most intense peaks (10° ≤ 2θ ≤ 90°), in order of rising 2θ:
14.26°, 6.209 Å, rel. 91, (0 0 2); 15.85°, 5.590 Å, rel. 93, (0 2 1); 32.57°, 2.749 Å, rel. 77, (1 3 1); 32.68°, 2.741 Å, rel. 74, (1 1 3); 38.02°, 2.367 Å, rel. 100, (1 1 4); 44.05°, 2.056 Å, rel. 77, (0 6 1)

Structure:
```
data_ScSi3Ir5
_chemical_formula_sum 'Sc4 Si12 Ir20'
_cell_length_a 3.823
_cell_length_b 12.519
_cell_length_c 12.419
_cell_angle_alpha 90.00
_cell_angle_beta 90.00
_cell_angle_gamma 90.00
_symmetry_space_group_name_H-M 'C m c m'
_symmetry_Int_Tables_number 63
_symmetry_space_group_name_Hall '-C 2c 2'
loop_
_atom_site_label
_atom_site_type_symbol
_atom_site_fract_x
_atom_site_fract_y
_atom_site_fract_z
Sc1 Sc 0.000 0.108 0.250
Si1 Si 0.000 0.134 0.750
Si2 Si 0.000 0.383 0.540
Ir1 Ir 0.000 0.000 0.000
Ir2 Ir 0.000 0.203 0.573
Ir3 Ir 0.000 0.453 0.148
```



The following is a simulated powder XRD pattern of ScU2Ga9. It was derived from the PBE geometry in Alexandria, using Cu Kα.
Peak positions follow from Bragg's law for the DFT cell and can differ from measured ones.

The 6 most intense peaks (10° ≤ 2θ ≤ 90°), in order of rising 2θ:
21.07°, 4.217 Å, rel. 17, (0 0 3); 29.97°, 2.982 Å, rel. 15, (1 1 0); 36.92°, 2.435 Å, rel. 100, (1 1 3); 42.89°, 2.108 Å, rel. 49, (2 0 0); 62.27°, 1.491 Å, rel. 32, (2 2 0); 74.65°, 1.271 Å, rel. 37, (3 1 3)

Structure:
```
data_ScU2Ga9
_chemical_formula_sum 'Sc1 U2 Ga9'
_cell_length_a 4.218
_cell_length_b 4.218
_cell_length_c 12.646
_cell_angle_alpha 90.00
_cell_angle_beta 90.00
_cell_angle_gamma 90.00
_symmetry_space_group_name_H-M 'P 4/m m m'
_symmetry_Int_Tables_number 123
_symmetry_space_group_name_Hall '-P 4 2'
loop_
_atom_site_label
_atom_site_type_symbol
~~~
- Removing testes through the incision.
- Removing excess scrotal skin if scrotectomy is part of the procedure.
- Closing the incision with sutures and covering with surgical dressing.
- Usually, people are admitted to hospital and sent home on the same day.
Risks & complications
All medical interventions have potential risks and benefits. It’s important that you understand the risks of having surgery so you can decide whether the potential benefits outweigh the potential risk of surgical complications. This list is not intended to scare you or dissuade you from having surgery but rather to help you make an informed decision.
General risks associated with surgery
- Anesthesia issues — Some people experience a negative reaction to anesthesia.
- Cardiovascular issues — Such as blood loss, blood clots and artery blockages.
- Hematoma — This is when blood collects in the surgical site, causing pain, swelling and redness. Drains and compression bandages are used to prevent hematomas. Smaller hematomas can be sucked out, but larger ones require removal through surgery.
- Seroma — This is when clear fluid accumulates in the surgical site. Your surgeon will manage this complication. The ways in which it might be managed include monitoring, clinical exam, ultrasound or possibly drainage.
- Infection — This is when microorganisms such as bacteria get inside the body. Infection can occur at different locations such as the surgical site or bladder and are generally treated with antibiotics.
- Abscess formation — This is a collection of pus caused by a bacterial infection. It can be treated with antibiotics or drained by the surgeon.
- Wound separation — This is when there is a partial or complete opening of incisions along the sutures.
- Nerve damage and pain — There is a wide range of possible experiences related to how nerves heal after surgery. Some changes are short term and some are long term or permanent. Some changes are mild and inconvenient, while others are painful and distressing. Changes can include numbness, increased sensitivity, burning sensations and nerve displacement (sensation may feel like it’s occurring in one place but the stimulus is in another part of the body). Speak with your surgical team about any concerns you have about sensation or pain management.
- Scarring — Scarring can be reduced by following your surgeon’s advice, which may include activity restrictions, avoiding sun, seeing a physiotherapist or massage therapist and doing massage exercises (if recommended). Severe scarring may require medical or surgical intervention.
- Postoperative regret — Regret can happen for several reasons, such as experiencing significant complications or being dissatisfied with the outcome of surgery.
Risks specific to testes removal
- Additional skin grafts needed for future vaginoplasty — If scrotectomy is performed, this will remove tissue that often is used to create some of the vaginal lining during vaginoplasty. Depending on the vaginoplasty technique, additional skin grafts (for example, from the upper thighs) may be required.
- Numbness or loss of sensation — This can happen in certain areas around the surgical site, but it’s often temporary.
- Stumps of spermatic cords may protrude in a way that can be felt.
- Changes in your ability to have erections — You may notice that erections are not as firm as before, or that you are not able to have them at all. If this is a concern for you, speak with your provider about whether medications (like PD5 inhibitors or a small dose of testosterone) may be appropriate for you.
# Records of crystals, kept here for reference
........
# 1
Simulated powder X-ray diffraction pattern
Compound: In6Bi2Pb3
Radiation: copper Kα
Structure: a crystal structure in Alexandria, relaxed with PBE
Peak positions follow from Bragg's law for the DFT cell and can differ from measured ones.

Structure:
```
data_In6Bi2Pb3
_chemical_formula_sum 'In6 Bi2 Pb3'
_space_group_name_H-M_alt 'P -1'
_space_group_IT_number 2
_cell_length_a 6.123
_cell_length_b 7.629
_cell_length_c 7.731
_cell_angle_alpha 107.13
_cell_angle_beta 97.02
_cell_angle_gamma 104.50
loop_
_space_group_symop_operation_xyz
'x,y,z'
'-x,-y,-z'
loop_
_atom_site_label
_atom_site_fract_x
_atom_site_fract_y
_atom_site_fract_z
_atom_site_occupancy
In1 0.095 0.364 0.320 1
In2 0.280 0.096 0.961 1
In3 0.365 0.455 0.775 1
Bi1 0.447 0.809 0.586 1
Pb1 0.000 0.000 0.500 1
Pb2 0.180 0.730 0.130 1
```

Main lines, low angle first (2θ from 10° to 80°):
2θ = 31.3°, rel. 52, hkl -2 1 1
2θ = 31.6°, rel. 100, hkl 0 1 2
2θ = 31.7°, rel. 49, hkl 1 -2 2
2θ = 35.8°, rel. 36, hkl 2 0 1
2θ = 36.8°, rel. 34, hkl 1 1 -3
2θ = 37.2°, rel. 32, hkl 1 -3 0
2θ = 61.8°, rel. 14, hkl 3 -2 3
2θ = 63.0°, rel. 14, hkl 2 3 -4

# 2
Simulated powder X-ray diffraction pattern
Compound: In3Bi3Pb
Radiation: copper Kα
Structure: a crystal structure in Alexandria, relaxed with PBE
Peak positions follow from Bragg's law for the DFT cell and can differ from measured ones.

Structure:
```
data_In3Bi3Pb
_chemical_formula_sum 'In18 Bi18 Pb6'
_space_group_name_H-M_alt 'R -3'
_space_group_IT_number 148
_space_group_name_Hall '-R 3'
_cell_length_a 9.4935
_cell_length_b 9.4935
_cell_length_c 18.9863
_cell_angle_alpha 90.00
_cell_angle_beta 90.00
_cell_angle_gamma 120.00
loop_
_atom_site_label
_atom_site_fract_x
_atom_site_fract_y
_atom_site_fract_z
_atom_site_occupancy
In1 0.0010 0.3181 0.0885 1
Bi1 0.0021 0.3463 0.9198 1
Pb1 0.0000 0.0000 0.3323 1
```

Main lines, low angle first (2θ from 10° to 80°):
2θ = 23.4°, rel. 32, hkl 1 1 3
2θ = 32.7°, rel. 100, hkl 3 0 0
2θ = 34.1°, rel. 64, hkl 1 1 6
2θ = 43.7°, rel. 37, hkl 3 0 6
2θ = 47.9°, rel. 24, hkl 4 -2 6
2θ = 58.3°, rel. 24, hkl 0 0 12
2θ = 59.2°, rel. 25, hkl 4 1 6
2θ = 68.5°, rel. 33, hkl 3 0 12

# 3
Simulated powder X-ray diffraction pattern
Compound: In5Bi2Pb4
Radiation: copper Kα
Structure: a crystal structure in Alexandria, relaxed with PBE
Peak positions follow from Bragg's law for the DFT cell and can differ from measured ones.

Structure:
```
data_In5Bi2Pb4
_chemical_formula_sum 'In5 Bi2 Pb4'
_space_group_name_H-M_alt 'P -1'
_space_group_IT_number 2
_cell_length_a 4.791
_cell_length_b 8.242
_cell_length_c 9.110
_cell_angle_alpha 107.13
_cell_angle_beta 104.63
_cell_angle_gamma 90.33
loop_
_space_group_symop_operation_xyz
'x,y,z'
'-x,-y,-z'
loop_
_atom_site_label
_atom_site_fract_x
_atom_site_fract_y
_atom_site_fract_z
_atom_site_occupancy
In1 0.000 0.000 0.000 1
In2 0.273 0.349 0.539 1
In3 0.369 0.837 0.736 1
Bi1 0.099 0.450 0.212 1
Pb1 0.181 0.896 0.363 1
Pb2 0.460 0.285 0.925 1
```
........
- Change in libido — Your desire may no longer feel as spontaneous, requiring more time to engage in pleasurable stimuli to experience arousal.